By Pastor Michael Frisbee, DD/DM
In a couple of days, we will be gathering with family and friends to celebrate the holiday of Christmas. This holiday has become increasingly secular and commercialized over the past few decades. Less and less is the focus on the birth of Jesus Christ, and the gift of Salvation He represents, and later would be sacrificed and resurrected to fulfill that prophecy.
There are a number of myths regarding Christmas and the tying in of Christ’s Birth to it.
Christians have always celebrated Christ’s Birth.
For the first several centuries of Christianity, the birth of Jesus was not celebrated. The earliest Christians viewed the celebration of birthdays, by definition, to be a pagan practice. Christians were discouraged from celebrating their own birthdays, so it is unlikely they celebrated Christ’s. This was true as late as the turn of the 5th century. Of course, by Augustine’s time, some Christians were observing Christmas, and were in the process of pegging it to their calendar, coincidentally at around the time of the winter solstice, which also happened to have been a time-window in which other, older pagan holidays had been celebrated. For a number of reasons this happened to be a convenient time of the year for holidays, so it had long been used for that purpose; first by pagans, then by Christians. It’s quite natural and understandable that they did so.
Christmas customs are centuries old.
This is quite false. We think of things like giving gifts as an old Christmas tradition. From the time Christmas was first observed by the Church, intermittently in the 4th century, then more steadily by the middle of the 5th and on into the Middle Ages, the only Christian activity performed on Christmas was the celebration of a special Christmas mass. Within the first few centuries these special Christmas masses were attended only by clergy, not the congregation. Christmas trees, decorating and feasting were all much-later developments. Giving gifts had been a custom in some pagan holidays, but it did not become a Christmas custom until the Middle Ages, and even then this was not consistent.
Christmas is celebrated by all Christians.
This claim is ridiculous on its face. Even now, there are some Christians who refuse to celebrate it, such as Jehovah’s Witnesses. Historically, there have been Christian sects who also did not celebrate it, and they even repressed it where they could. The truth is that the only holiday that all Christian sects have in common, is Easter. Even then they don’t all observe it on the same date. Most sects also observe Pentecost in some way, even some that don’t observe Christmas.
Christmas has always been celebrated on December 25
This is not true, not only because not all Christians have designated December 25 as “Christmas,” but because not even all of those who do, actually celebrate that day. Some Christian sects assign Christmas to days other than December 25. Other sects celebrate Epiphany, the annual commemoration of the visit of the Magi, in preference to Christmas. This is more common in Orthodox Christianity, but it’s found even among some western Christians, among many Hispanic cultures for example, which celebrate what they call “Three Kings Day.”
The most sacred holiday on the Christian calendar is Christmas.
Undoubtedly this statement is untrue. The most sacred holiday for Christians, is Easter, the day which commemorates Jesus’ resurrection. Easter was celebrated long before Christmas ever was, to the point where its dating was a point of contention among Christians a couple centuries before Christmas was a thought. Easter was observed on varying dates as early as the middle of the 2nd century, and dating it was discussed at the Council of Nicaea in 325 CE. At that time it was noted that Christmas was merely a mass that was held annually, and attended only by clergy, only in some places. It was not a “holiday” in any conventional sense, not even in terms of the Greco-Roman culture of that period.
Jesus was born in December near the time of Christmas today.
Although it’s not impossible, it seems unlikely. The Bible does not specify a date or month. One problem with December is that it would be unusual for shepherds to be “abiding in the field” at this cold time of year when fields were unproductive. The normal practice was to keep the flocks in the fields from Spring to Autumn. Also, winter would likely be an especially difficult time for pregnant Mary to travel the long distance from Nazareth to Bethlehem.
A more probable time would be late September, the time of the annual Feast of Tabernacles, when such travel was commonly accepted. Thus, it is rather commonly believed that Jesus’ birth was around the last of September. The conception of Christ, however, may have taken place in late December of the previous year. Our Christmas celebration may well be recognized as an honored observation of the incarnation of ‘the Word made flesh’ (John 1:14).
Legend Of Santa Claus
Santa Claus has become indispensable to secularized version of Christmas. There has hardly been a Christmas when children have not waited for their kind and beloved Santa. The stories related to Santa Claus have managed to gain much popularity amongst people all over the world. Santa Claus, the noble saint with his big belly and red outfit, wanders around homes spreading the message of optimism and prosperity. He is depicted with a long white beard which is a sign of his worldly wisdom.
The story traces the kind deeds of St. Nicholas in his city. It took form hundreds of years back when Nicholas was born to a wealthy Christian family in Myra, now located in modern Turkey. The legends of his good deeds and helpfulness soon made him the Bishop of Myra. He wished to see his people satisfied and happy and would even travel at night to ensure the same. One night, during his visits, he overheard a family complaining about their misfortunes and poverty which was compelling them to sell their three daughters as slaves or prostitutes. Nicholas could not stand their plight and threw three purses of gold from the chimney in to their house secretly. Such instances were common and only made him more popular. He was referred to as the 'Patron Saint of Children and Sailors'. Every year on December 6th, that is the death anniversary of St. Nicholas, families prepare feasts in honor of the memory of St. Nicholas. Owing to the respect for his great nature, it is also considered good fortune to get married on the same day.
Here the article breaks off for calculated crystals:
- - -
# Li2MnFeB2O6 PBE+U optimized geometry
data_Li2MnFeB2O6
_chemical_formula_sum 'Li6 Mn3 Fe3 B6 O18'
_space_group_name_H-M_alt 'P 1 m 1'
_space_group_IT_number 6
_cell_length_a 8.239
_cell_length_b 6.309
_cell_length_c 8.243
_cell_angle_alpha 90.00
_cell_angle_beta 119.85
_cell_angle_gamma 90.00
loop_
_space_group_symop_operation_xyz
'x,y,z'
'x,-y,z'
loop_
_atom_site_label
_atom_site_type_symbol
_atom_site_fract_x
_atom_site_fract_y
_atom_site_fract_z
Li1 Li 0.000 0.247 0.000
Li2 Li 0.262 0.248 0.579
Li3 Li 0.579 0.247 0.317
Mn1 Mn 0.640 0.500 0.670
Mn2 Mn 0.907 0.500 0.287
Mn3 Mn 0.908 0.000 0.287
Fe1 Fe 0.286 0.500 0.939
Fe2 Fe 0.293 0.000 0.933
Fe3 Fe 0.645 0.000 0.679
B1 B 0.282 0.500 0.298
B2 B 0.283 0.000 0.300
B3 B 0.610 0.248 0.964
B4 B 0.947 0.249 0.633
O1 O 0.141 0.250 0.740
O2 O 0.169 0.500 0.104
O3 O 0.172 0.000 0.105
O4 O 0.199 0.000 0.411
O5 O 0.200 0.500 0.411
O6 O 0.475 0.500 0.378
O7 O 0.477 0.000 0.385
O8 O 0.498 0.247 0.046
O9 O 0.528 0.246 0.770
O10 O 0.804 0.250 0.075
O11 O 0.840 0.246 0.721
O12 O 0.859 0.250 0.440
# Crystal system: monoclinic
# Raw total energy in eV per atom: -7.11
# M_tot in μB/f.u.: 9.01
# Offset from the most stable computed form in eV per atom: 0.005
# V in Å³ per cell: 371.6
# DOS(E_F) in states/eV per cell: 0.00

~~~~~

VASP calculation (PBE) on crystalline CdAsPbO at its relaxed geometry.

Cell and atoms, written as extended XYZ:
```
8
Lattice="4.663 0.000 0.000 0.000 4.663 0.000 0.000 0.000 8.893" Properties=species:S:1:pos:R:3 pbc="T T T"
Cd 1.166 1.166 0.132
Cd 3.498 3.498 8.761
As 1.166 1.166 6.113
As 3.498 3.498 2.780
Pb 1.166 3.498 4.446
Pb 3.498 1.166 4.446
O 1.166 3.498 0.000
O 3.498 1.166 0.000
```

Output
Space group   P4/nmm (129)
Energy relative to the lowest polymorph listed for this composition   218.2 meV per atom
Uncorrected energy   -3.74 eV per atom
ρ   7.05 g/cm3

~~~~~

# 1
## Ca2TbHg4 (GGA-PBE)

Data for an optimized crystal structure of Ca2TbHg4.

Its size of the total moment is 0.00 Bohr magnetons per cell. For the total energy, the calculation gives -12.6 eV per cell.

The structure in POSCAR format:
```
Ca2TbHg4
1.0
6.0491 -0.1090 -2.1953
-3.0466 5.2879 -2.0442
-0.0628 0.1090 6.4348
Ca Tb Hg
2 1 4
direct
0.5000 0.5000 0.0000
0.5000 0.0000 0.5000
0.0000 0.0000 0.0000
0.5000 0.0000 0.0000
0.5000 0.5000 0.5000
0.0000 0.0000 0.5000
0.0000 0.5000 0.0000
```



# 2
## In3AsC (GGA-PBE)

Data for an optimized crystal structure of In3AsC.

Its size of the total moment is 2.00 Bohr magnetons per cell. For the total energy, the calculation gives -14.2 eV per cell.

The structure in POSCAR format:
```
In3AsC
1.0
-1.7837 -2.6072 4.4437
5.0825 -1.6610 1.0656
0.8442 4.4910 2.9739
As C In
1 1 3
direct
0.0000 0.0000 0.0000
0.5000 0.5000 0.5000
0.0000 0.5000 0.0000
0.0000 0.0000 0.5000
0.5000 0.0000 0.0000
```



# 3
## NaNd2ScS4 (GGA-PBE)

Data for an optimized crystal structure of NaNd2ScS4.
- - -
Here the article continues:
Tomorrow night, Saturday Dec 24th from 7 pm to 9 pm, Reverend Mark Hunnemann and I will delve even deeper into Christmas myth and the Birth of Jesus Christ during our “The Paranormal Christian” radio show. Join us for a light hearted discussion on these topics, with calls from our listeners, and some great Christmas music. Tune in at